Entries
____________
Entry 1:
A gas-phase ion, C5H6NO (charge +1) in a non-equilibrium geometry. Source: the OMol25 dataset; level of theory: ωB97M-V/def2-TZVPD.

Computed properties:
Net charge: +1
Energy relative to the best compared isomer or geometry (same formula, charge and spin) in kJ/mol: 904.1
HOMO-LUMO gap in hartree: 0.2752
Multiplicity: 1
HOMO energy in Eh: -0.544
Maximum force in Eh/bohr: 0.0671

Geometry as XYZ:
```
13
Properties=species:S:1:pos:R:3:lowdin_charge:R:1
H 2.07129 1.35556 -0.36388 0.1275
H -2.22122 -1.05530 1.29948 0.1432
C -2.02468 -0.28270 0.57307 -0.0754
O -1.73841 -0.79471 -0.70546 0.0489
C 1.32023 -1.80207 0.37442 0.4569
H 2.94001 -1.03235 -0.27292 0.1117
C 0.01350 0.83334 -0.28663 -0.1347
C 1.44968 0.53427 -0.15946 0.0931
H -0.28206 0.93521 -1.45033 0.2320
H -2.39640 0.66154 0.71383 0.1109
N -0.69780 -0.31206 0.12943 -0.1537
H -0.36647 1.71441 0.37127 0.1895
C 1.93232 -0.75515 -0.22282 -0.1500
```

Entry 2:
7 unconnected molecules or ions with the total composition C37H76N2O24P6S in a non-equilibrium geometry. Source: the OMol25 dataset; level of theory: ωB97M-V/def2-TZVPD.

Computed properties:
Net charge: 0
HOMO-LUMO gap in hartree: 0.1953
Multiplicity: 1
HOMO energy in Eh: -0.294
Maximum force in Eh/bohr: 0.1836

Geometry as XYZ:
```
146
Properties=species:S:1:pos:R:3:lowdin_charge:R:1
H -5.70119 0.68218 -1.27865 0.0791
H 4.80718 -0.71992 -3.90767 0.0480
H 3.27653 -2.83305 -2.69386 0.1041
C -3.06176 4.01502 -2.81979 -0.1057
H 4.13309 -6.42273 11.24897 0.0854
O 5.59658 -6.72053 9.81883 -0.2708
C -0.58253 -0.54314 -0.90981 -0.4218
H -7.06539 6.93749 0.87176 0.0866
H -4.85359 8.04866 -3.47210 0.0817
C 2.32179 -0.55944 -0.64932 -0.2332
N 4.69476 -1.68627 -3.58455 0.0963
C 4.96454 -6.18098 3.09192 -0.1089
C 3.55338 0.02620 1.83179 -0.0922
H 2.81900 -3.61527 8.47063 0.0850
O 10.74308 -6.77997 3.08525 -0.2709
H -2.49652 -0.27872 -0.06744 0.1051
H -8.17793 9.15415 -1.88301 0.0905
H -2.97040 2.91054 -4.71761 0.0900
O 6.62159 -6.98152 7.68697 -0.3218
O 1.17555 4.00594 -4.22501 -0.2933
H 5.20747 0.76768 0.62653 0.1082
C -7.66794 6.17924 0.37477 -0.1118
O -11.79457 3.14887 -3.78818 -0.2687
P 1.12283 5.66882 -4.36366 0.6545
C 0.34209 -0.33286 -1.95363 -0.2179
H -6.38988 8.38365 -4.32416 0.0856
P -12.47732 4.46277 -3.12838 0.6159
H -15.89703 4.64797 -4.02902 0.0856
O 4.25964 -6.79525 2.01941 -0.2659
O -11.38735 4.46494 -1.88462 -0.2632
O -8.27151 7.44592 -3.08419 -0.2842
H -14.78837 5.95309 -4.49527 0.0881
H 7.57759 -8.75028 7.40579 0.0909
C -2.33569 0.72794 -2.01270 -0.1775
H 3.12639 3.73380 -4.89355 0.0889
C 4.21693 0.31421 0.64545 -0.0724
H 2.84622 -3.88508 -0.50123 0.0808
H 3.55559 6.16132 -6.78699 0.0899
O -13.90378 4.15931 -3.94489 -0.2392
C -1.86590 -0.04269 -0.92740 -0.0494
H 0.80762 8.21683 -2.66939 0.0875
H -3.80394 2.05212 -1.19410 0.1363
H 0.84460 -7.31056 2.66656 0.0841
P 3.08368 -5.96452 1.27152 0.6166
O -6.19227 7.61217 -1.54008 -0.2654
C 2.45703 -0.74592 -3.05026 -0.1707
H 2.91803 0.25865 -3.14265 0.1100
H -14.99091 5.51477 -2.77984 0.0818
S 0.03738 -1.49894 0.47932 1.0228
C -3.76660 1.28529 -1.98462 -0.3226
H -9.67830 4.12785 -3.02489 0.0960
H 5.86105 -8.77046 6.97429 0.0833
H -0.50208 8.76062 -3.73672 0.0859
H 3.91658 -4.07822 7.16105 0.0791
P -7.16750 6.64994 -2.20004 0.6927
H 1.21961 -8.88916 1.96265 0.0896
C 4.51646 -7.21508 10.60646 -0.1060
H -4.94326 -0.53392 -2.34244 0.0875
O -8.18862 6.70286 -0.85300 -0.2826
H 11.11888 -4.81181 2.57757 0.0843
O 4.05588 -5.18939 8.92634 -0.2597
H 2.50941 -5.10002 7.54903 0.0873
H 11.87691 -9.13407 5.44719 0.0837
H -5.38616 1.76287 -3.33049 0.1067
C -10.03577 4.75989 -2.20884 -0.1227
H 8.15928 -4.13517 5.46056 0.0845
H -2.56008 4.86779 -3.30862 0.0621
H -1.68611 1.55570 -3.89780 0.0995
H -11.69234 4.02156 -5.68493 0.0874
H 4.90282 -8.01771 11.23363 0.0913
H -3.86813 4.42945 -2.19250 0.0731
H 12.43185 -5.96317 2.28145 0.0893
H -10.81354 2.49770 -5.45643 0.0884
C -1.42237 0.94688 -3.03437 -0.0214
O 1.83389 5.64602 -5.81805 -0.2658
H 2.41702 -8.09359 3.00129 0.0869
____________
To do
Next, filter the lines further above: keep the lines with the word "gap".
Worked solution
HOMO-LUMO gap in hartree: 0.2752
HOMO-LUMO gap in hartree: 0.1953